
Wednesday, March 10, 2010

21 Secret Agent

TITLE: Just Jezebel
GENRE: Contemporary YA

If life were a ship, my mother was the suicidal passenger. She just had this amazing ability to always end up overboard, whether she was already there or just working her way toward it. I didn’t know if she did it because she knew no better or if she did it for the simple fact that she could and no one would stop her. When I was old enough to realize this and recognize the signs, I made it my job to stop her before she could get that close to the railing. But my mother was a character and I spent more time fishing her out of the water than holding her back from it.

Once upon a time, this sort of limitless behavior had scored her the successful husband, the big house in Upper Eastside Manhattan, and all the money. But now all her extravagant and needy nature got her was a nasty divorce, a troubled daughter, and an affair gone wrong.

He was my father’s business partner and I met him in a less than likely place. Before that, I’d always known him in a not-so-important way. Name: Kennedy Myer, alias: Mr. Myer. To me, he was the man my father worked with, the man he spent all his time with. But one snowy night at a Manhattan social scene, Mr. Myer had earned a new name: the man my mother was having an affair with.

In some sense, I’d known she wasn’t happy.


  1. I like the ship metaphor but as I'm reading this I can't help but wonder if this is a story about the daughter or about the mother? Since it's YA, I'm assuming it's about the daughter so you might want to sprinkle this back story about the mother into the narrative instead of starting up with it.

    The writing is good though. :)

  2. You write beautifully. I do think that this is all backstory until the last paragraph. Maybe start there and give us the rest in bits as the storyline progresses? I know it's important for you to know all this information while you're writing but the reader needs spoon fed :D

  3. Too much mother, not enough mc. But nice writing.

  4. I really liked your voice and enjoyed the opening paragraph. I thought the rest was well done, but it was all backstory. I think your first paragraph is probably sufficient to tell the reader why the mother is currently in a predicament. I would have loved it if you had introduced the trouble after the opening paragraph. You can dribble in the backstory later. I say this to help make your piece stronger, but I thoroughly enjoyed it and would have kept reading.

  5. I like the writing, but agree it doesn't flow well. I don't like the passive voice. Saying, " mother was the suicidal passenger..." makes her sound dead. Why can't the whole passage be present tense? I think this would help us really feel for the mc. Good luck!

  6. Unfortunately, there's no story here. Nothing happened. This is all explanation - explaining things to the reader instead of starting the story.

    I'd suggest starting with sticking your MC in a location and have her facing a problem. You certainly have the material to make it an interesting problem with the mother you've created, so show that rather than having the MC explain.

_Misplaced data records_
- - -
Entry 1:
DFT (the ωB97M-V functional and the def2-TZVPD basis) results for C5H6CrO3 as an isolated structure at a distorted geometry.

ORCA input file:
```
! RIJCOSX wB97M-V def2-TZVPD def2/J DEFGRID3
* xyz 1 4
O 2.7521 0.6959 -0.3924
C 1.6809 0.1347 -0.2822
O 0.5633 0.5854 -0.8160
O 1.5035 -0.9933 0.3771
C 0.1052 -1.3172 0.4219
C -0.5047 -0.3858 -0.6376
C -1.7731 0.2819 -0.2188
C -1.7980 1.4221 0.4707
Cr 4.6973 0.2571 0.2860
H -0.2648 -1.1080 1.4332
H -0.0208 -2.3765 0.1829
H -0.6305 -0.9001 -1.5993
H -2.7016 -0.2137 -0.5184
H -2.7304 1.9957 0.5079
H -0.8785 1.9217 0.7852
*
```

The calculation puts the orbital gap (alpha / beta) at 6.8423 / 5.2517 eV. The maximum force comes out at 1.42 eV/A. For the highest occupied orbital energy (alpha / beta), the calculation gives -11.718 / -10.122 eV. The energy is -1463.9128 Ha. For the LUMO energy (alpha / beta), the calculation gives -4.9 / -4.9 eV.

Results of the Mulliken charge analysis, in e, for atoms 1 through 6:
1 O -0.6629
2 C 0.7655
3 O -0.3334
4 O -0.3432
5 C -0.4311
6 C 0.3124

Entry 2:
DFT (the ωB97M-V functional and the def2-TZVPD basis) results for C4H6CoO as an isolated structure at a distorted geometry.

ORCA input file:
```
! RIJCOSX wB97M-V def2-TZVPD def2/J DEFGRID3
* xyz -1 5
O 1.6313 -0.9477 -1.1061
C 0.4660 -1.5427 -1.2102
C -0.6239 -1.3345 -0.3963
H 0.2940 -2.0848 -2.1584
H -0.4488 -1.2592 0.6832
H -1.6248 -1.5018 -0.8002
Co 2.0085 0.7281 -0.4230
C 0.0469 1.3399 0.2224
C -0.3132 1.4947 1.5090
H -0.5470 1.9487 -0.4843
H 0.1389 0.9003 2.3146
H -1.0277 2.2590 1.8493
*
```

The calculation puts the orbital gap (alpha / beta) at 5.9313 / 7.5108 eV. The maximum force comes out at 2.20 eV/A. For the highest occupied orbital energy (alpha / beta), the calculation gives -1.534 / -3.354 eV. The energy is -1613.8689 Ha. For the LUMO energy (alpha / beta), the calculation gives 4.4 / 4.2 eV.

Results of the Mulliken charge analysis, in e, for atoms 1 through 6:
1 O -0.6239
2 C 0.2728
3 C -0.8403
4 H 0.3159
5 H 0.1480
6 H 0.2253

Entry 3:
DFT (the ωB97M-V functional and the def2-TZVPD basis) results for C6H6 in the gas phase at a distorted geometry.

ORCA input file:
```
! RIJCOSX wB97M-V def2-TZVPD def2/J DEFGRID3
* xyz 0 1
C 0.7798 -1.2690 0.4316
C 0.0994 0.1001 0.1934
C 0.6009 0.7619 -1.0251
C 1.0601 1.2911 -2.0063
C -1.3500 0.1642 0.4088
C -2.3269 0.5334 1.0143
H 0.5709 -1.9963 -0.3649
H 1.8687 -1.1541 0.4778
H 0.4327 -1.6996 1.3736
H 0.1231 0.7864 1.0680
H 1.4427 1.7760 -2.8815
H -3.3218 0.7079 1.3288
*
```

The calculation puts the orbital gap at 10.5381 eV. The SMILES is C#CC(C)C#C. The maximum force comes out at 2.09 eV/A. For the highest occupied orbital energy, the calculation gives -9.644 eV. The energy is -232.0594 Ha. For the LUMO energy, the calculation gives 0.9 eV. The value obtained for the energy above the lowest of the compared OMol25 structures with the same formula, charge and spin is 104.7 kcal per mole.
- - -

    Unless you're writing a memoir, you shouldn't be talking to the reader.

  7. A daughter's relationship with a difficult mother is a great basis for a story.

    The mother certainly sounds like an interesting character, but I think she would be more vivid and real for the reader if you showed her in action rather than telling the reader about her.

    I also had trouble getting a sense of who the main character was and seeing this appears to be her story, I felt that I wanted to be able to engage with her right from the start.

  8. You write beautifully. I loved the ship metaphor. Even if nothing is "happening" as mentioned above, the voice and writing still hooked me. Excellent.

  9. Great first line. It says a lot about their relationship. Your intro was interesting, and I'd keep reading.

    The rest of the paragraph gets a little muddled, and really needs to be clarified.

    Also, the issue at hand seems more about her mother than herself. I would be very careful about this. But good job, overall.

  10. Nice characterization of mom but I'd rather see it through out story...have her be active and we will understand MC's feelings.

  11. I agree with everyone else. Your writing is excellent, which is more than half the battle. What does need improving is the actual flow of the story. As others have said, this is all backstory. I'd keep some of the first paragraph, then show us the MC and the mother. What happens to swing the MC's life off course? Is it the discovery of her mother's affair? Or does the story start afterwards, once the mother is divorced? Pick a pivotal scene and show us the mother's extravagant and needy nature. You are a great writer so this shouldn't be difficult :-)

  12. There's no solid hook here. It's kind of confessional but there's a lot of backstory before I have any forestory.

    Putting it anaother way. Somehow looking as I write this, wouldn't it seem more interesting to start off with the last sentence? That has some kind of hook here to wonder why and who wasn't happy.

  13. I could be wrong, but I think your opening sentence is a bit off. Shouldn't it read "my mother would be" a suicidal passenger. Because the previous "were" is indicative of the subjunctive in a conditional clause? Might sound convoluted and I might be wrong. But I thought I'd point it out, either way.

    Like everyone else, I think you should focus more on the MC, less on the mother. And it is, basically, all back story. So you might want to start at a more engaging point. But props, definitely, for a great voice :D

  14. Each paragraph here goes on just a sentence or so too long. But the beginning definitely drew me right in...if you could just cut the last line or so of that paragraph.

    Overall pretty good, but I'm starting to wonder about your main character now. This seems to be all about other people, in particular, her mother. What about her??
